Five adult education experts describe the reactions prompted by PIAAC results in their countries.
Europe has been digesting the results of the OECD’s PIAAC study for a good two weeks now. First results of the adult skills study were published 8th October. Alarm bells seem to be ringing in many places. Results show that adults’ literacy, numeracy and digital problem-solving skills are below par in many countries such as Italy, Spain and France.
However, PIAAC results can make good ammunition for adult education lobbyists all over Europe as advocates continue to argue for the importance of lifelong learning.
Five adult education experts describe the reactions prompted by the publication of PIAAC results in their countries.
Hilde S. Grønhovd, communications consultant, Norwegian Association for Adult Learning (VOFO)
Norway reached sixth place in both literacy and numeracy, above OECD average.
How did education experts and the media first react to the results?
-The two biggest newspapers focused on two aspects: men outperformed women in numeracy, and Norway secured top positions in the rankings. Experts now want to find out why the gender difference in numeracy is so big, because it only seems to apply for the older generations. At school, girls outperform boys in math. Underperformance of older women may be caused by traditional gender attitudes prevailing at the workplace.
What was your own reaction?
-We in the adult education sector were relieved that PIAAC called for more lifelong learning and updating of skills!
What is the most significant result for Norway?
-It’s hard to name one single result. It is very important that PIAAC will most likely spawn plenty of new research into adult education.
What will change in your country’s education policy?
• What comes next are quantum chemistry results, not part of the page:
1.
Entry from OMol25: the ion C2ClO3P with charge -2 at a distorted geometry (ωB97M-V/def2-TZVPD).

Cartesian coordinates (Å):
C  -0.11838  -0.32300  -0.36189
C  0.22502  -0.99744  -1.81644
O  0.49423  -0.16758  2.45004
O  -1.06352  0.50326  0.15546
O  1.24274  1.79131  1.10569
P  0.63631  0.37921  1.11089
Cl  -1.41640  -1.18575  -2.64374

Results
**Relative energy (zero: lowest compared OMol25 entry of this formula, charge and spin)**: 220.31 kJ/mol
**Orbital gap (alpha / beta)**: 0.1777 / 0.1777 Ha
**2S+1**: 1
**LUMO (alpha / beta)**: 6.34 / 6.34 eV
**Net charge**: -2

2.
Entry from OMol25: a structure of composition C20H25AlCl2P at a distorted geometry (ωB97M-V/def2-TZVPD).

Cartesian coordinates (Å):
Al  1.49688  1.31137  -0.04627
Cl  0.83193  2.96472  -1.19952
Cl  1.96736  1.86423  1.98839
C  2.90676  0.18067  -0.65355
H  3.10749  -0.59144  -1.40049
H  3.68617  0.24679  0.12021
C  -0.30978  -0.08355  -2.61729
C  0.90764  -0.66421  -2.66006
H  -1.02542  -0.37164  -1.83930
C  1.94442  -0.30169  -3.67853
H  1.21572  -1.32944  -1.86059
C  1.73494  1.13522  -4.18317
H  2.94802  -0.43823  -3.26804
H  1.86341  -0.97239  -4.55127
C  0.28687  1.32876  -4.62921
H  1.96081  1.82317  -3.36086
H  2.41699  1.34842  -5.01536
C  -0.73784  1.02860  -3.51637
H  0.13176  2.34576  -5.00924
H  0.09792  0.64847  -5.46762
H  -0.87458  1.93030  -2.89442
H  -1.72393  0.82792  -3.96330
C  -2.71622  -0.78077  0.67173
P  -0.95807  -0.24326  0.77939
C  -1.26221  1.01157  2.09866
C  -1.67993  2.27369  1.63414
C  -1.97466  3.28939  2.53604
C  -1.84004  3.05608  3.90867
C  -1.42123  1.80327  4.36845
C  -1.14621  0.76958  3.47213
C  -0.21923  -1.77370  1.48810
C  0.97738  -1.73045  2.23448
C  1.55700  -2.91832  2.68630
C  0.98162  -4.15148  2.37688
C  -0.15671  -4.20560  1.57129
C  -0.73387  -3.02866  1.09727
H  -3.34240  0.09045  0.43503
H  -3.00964  -1.15675  1.66550
H  -2.84644  -1.57150  -0.07945
H  -1.74144  2.46080  0.56042
H  -2.29752  4.26689  2.16438
H  -2.05719  3.85749  4.61714
H  -1.30054  1.63180  5.44059
H  -0.83559  -0.21227  3.83383
H  1.46170  -0.77100  2.43371
H  2.47731  -2.87473  3.27050
H  1.43740  -5.07372  2.72663
H  -0.59298  -5.16345  1.28236
H  -1.59382  -3.08715  0.43167

Results
**Relative energy (zero: lowest compared OMol25 entry of this formula, charge and spin)**: 0.00 kJ/mol
**Orbital gap (alpha / beta)**: 0.1773 / 0.1774 Ha
**2S+1**: 1
**LUMO (alpha / beta)**: 2.84 / 2.84 eV
**Net charge**: -1

3.
Entry from OMol25: a structure of composition C24H16BrMnN2O2 at a distorted geometry (ωB97M-V/def2-TZVPD).

Cartesian coordinates (Å):
Mn  -1.16317  0.45795  -0.65693
O  -1.28427  2.25625  -0.53083
C  -1.33817  3.08935  0.47097
C  -1.07837  4.45065  0.24817
C  -1.06437  5.34855  1.29127
C  -1.34907  4.92705  2.58507
C  -1.63687  3.60225  2.83097
C  -1.61977  2.64795  1.80517
C  -1.80727  1.26735  2.11327
N  -1.81157  0.31755  1.20997
N  -1.87307  -0.96515  1.65647
C  -1.57757  -1.80065  0.69567
O  -1.29367  -1.33435  -0.48563
-It is early to say but politicians should start turning their focus from schools to lifelong learning.
United Kingdom (England & Northern Ireland)
Jim Soulsby, adult education expert, journalist
England and Northern Ireland reached 14th place (14/22) in literacy and 16th place in numeracy, both below OECD average.
How did education experts and the media first react to the results?
-The UK media has responded quickly and given the results high profile. All papers drew attention to the low skills levels of younger people. The incumbent government and the opposition blamed each other for neglecting the youth.
Only on the BBC website blog by Robert Peston was the class issue referred to that those young people with the lowest skills were those from families with poor educational and low social backgrounds.
The national adult education body NIACE called for a new vision where learning would be seen as beneficial to both society and individual.
What was your own reaction?
-I am concerned about the skills profile of young people but I was very heartened by the evidence linking engagement in learning/skill development with positive attitudes around health, well-being, societal involvement and volunteering. Also the point that high skills levels can be achieved despite social class divisions was well made linking the Netherlands and Japan in particular.
What is the most significant result for England and Northern Ireland?
-The low skills-level of young people. This result will create political rhetoric that will sadly only continue to perpetuate education policies for children and young people (and adults) which are not fit for purpose.
What will change in your country’s education policy?
-I doubt there will be much change. There will be no ‘serious’ examination of the divisive impact of the current schools examination system which demands a ‘creaming off’ of pupils for higher education via traditional curriculum subjects tested in ‘old fashioned written examinations’ at the end of the study periods. Such a system cannot be suitable or appropriate for those whose future is not in higher education nor likely to flourish in the labour/skills market.
There is equally unlikely to be any significant change in policy or resourcing of the kind of adult learning which would encourage the learner to understand and develop their own skill needs.
Vittoria Gallina, PIAAC researcher, Teresa La Marca, education journalist
Teresa La Marca
Italy was placed last in literacy and second to last in numeracy.
How did education experts and the media first react to the results?
-The media had a field day with headlines such “OECD: Italians can’t count or read” Commentators with more analytic leanings have been wondering at the disproportion of low skills and average-level education expenses. Employment and Social policy minister Enrico Giovannini is prepared to offer these results as explanation to Italy’s unemployment but many people believe there are other factors at play, too.
What was your own reaction?
-Italy seems to have stagnated economically and socially. Now we have to have a serious debate about the state of the education system, which has a lot of good in it too.
What is the most significant result for Italy?
-The most important thing is that the bad results may scare decision-makers to invest in adult education. So far the focus has been on young school drop-outs.
What will change in your country’s education policy?
-Can we really speak about an Italian lifelong learning and adult education system? The system is still so undeveloped as also PIAAC results can show. From 2007 the system was restructured with territorial centers for Adult learning but these centers are still not operating; they will start an experimental activity only starting from 2014!
Investment in such a system is urgent and the PIAAC results may hasten this process!
Michael Sommer, journalist, coordinator of adult education correspondents’ network InfoNet
Germany reached 16th place in literacy (below OECD average) and 12th place in numeracy (around OECD average).
How did education experts and the media first react to the results?
-The results had a very brief exposure in national media. Germans could anticipate a bad score based on earlier PISA results for school children, but often the bad PISA results have been explained away by referring to poor-skilled migrants.
What was your own reaction?
-I was not surprised by our relatively poor performance. I think it is harmful to put the blame on the individual for these results instead of giving more resources to adult education.
What is the most significant result for Germany?
Quantum chemistry results that have nothing to do with the article:
........
Record 1
This record from the OMol25 dataset describes C6H7AgFO5 as an isolated structure at a distorted geometry. The level of theory is the ωB97M-V functional and the def2-TZVPD basis.

```
20
Properties=species:S:1:pos:R:3:forces:R:3
Ag -1.4737 -1.2514 3.6630 0.42 0.09 -0.23
F -2.0594 -2.2288 -2.3290 1.35 0.42 0.04
O 3.2135 -1.8777 -1.9787 -1.08 0.60 0.65
O -2.2268 -2.2163 -0.1663 1.93 0.06 -0.76
O 2.8860 -1.2967 0.1207 0.33 0.25 1.88
O -3.1281 -0.3132 0.2707 0.25 0.54 0.13
O 0.8724 -0.3865 2.9798 -0.89 -0.02 0.32
C -2.1346 -1.5652 -1.2703 -4.04 -2.11 -0.25
C -2.8821 -0.2972 -1.1435 1.14 1.15 -0.26
C 2.0863 -1.5888 1.2740 -0.02 -0.23 -0.67
C 1.8614 -0.3182 2.0735 0.36 0.05 -0.09
C 2.4661 -1.5999 -1.0899 -0.93 -1.20 -2.05
C -2.6563 -1.3286 0.8685 -0.34 0.20 1.05
H 1.1553 -2.0697 0.9421 -0.19 0.33 0.13
H -3.8264 -0.2659 -1.7094 0.25 -0.29 -0.08
H 1.2763 -1.6210 -1.2246 1.80 0.09 0.40
H -2.2563 0.5717 -1.4086 -0.40 0.09 0.16
H 2.5808 -2.3362 1.9068 0.21 0.17 -0.34
H 2.7915 -0.0013 2.6018 -0.15 -0.02 -0.07
H 1.6833 0.5889 1.4458 0.01 -0.18 0.04
```
Forces are in eV/Å.

**2S+1**: 2
**HOMO-LUMO gap (alpha / beta)**: 5.2 / 5.2 eV
**Charge**: +2
**LUMO (alpha / beta)**: -11.09 / -11.09 eV
**<S²>**: 0.7550

Record 2
This record from the OMol25 dataset describes C6H7AgLiO6 as an isolated structure at a distorted geometry. The level of theory is the ωB97M-V functional and the def2-TZVPD basis.

```
21
Properties=species:S:1:pos:R:3:forces:R:3
Ag -2.2996 3.7466 3.8564 0.34 -1.11 -0.76
O 1.9256 -1.6879 -0.5095 2.13 0.89 -3.20
O -2.4766 1.7488 1.7827 -0.09 -0.30 0.07
O 0.1541 -1.1431 -1.8272 0.03 -0.03 -0.07
O -0.7467 1.4138 3.1373 0.23 -0.40 0.24
O -1.2987 -0.1367 1.5285 0.88 -1.04 0.71
O 0.8471 0.4305 -0.3375 0.06 -0.04 -0.38
C 0.8311 1.0566 -1.6148 0.13 0.31 -0.16
C -1.5254 1.1151 2.2324 -0.55 2.28 0.85
C 0.1824 -1.7052 0.6027 -2.15 0.11 6.24
C 0.8363 -0.9550 -0.5658 2.11 -2.30 1.68
C -0.1499 -0.7263 1.6354 -3.11 3.06 -3.07
C -0.0862 0.1388 -2.4131 -0.40 0.35 -0.16
Li 1.7456 -2.3373 -2.2810 0.05 0.24 0.74
H 0.4403 2.0723 -1.5008 0.12 -0.24 -0.05
H -0.6468 -2.3226 0.2475 0.08 0.12 0.50
H -1.1447 0.4049 -2.2840 0.27 -0.07 -0.06
H 0.1617 0.0988 -3.4799 -0.10 0.04 0.24
H 0.6200 -0.2036 2.2146 -0.31 -0.36 0.35
H 1.8464 1.0900 -2.0374 -0.22 0.02 0.12
H 0.7839 -2.0986 1.6136 0.48 -1.51 -3.83
```
Forces are in eV/Å.

**Energy above the lowest of the compared OMol25 structures with the same formula, charge and spin**: 64.5 kJ/mol
**HOMO-LUMO gap**: 6.2 eV
**Charge**: +1
**LUMO**: -5.27 eV

Record 3
This record from the OMol25 dataset describes one molecule with the formula C6H7B at a distorted geometry. The level of theory is the ωB97M-V functional and the def2-TZVPD basis.

```
14
Properties=species:S:1:pos:R:3:forces:R:3
C 1.1429 -0.3120 -0.4914 0.31 1.23 -0.75
C -0.7906 -0.9053 1.3136 0.82 -2.09 -1.90
C -3.0977 -0.2293 0.2842 -1.04 0.94 -0.98
C -2.0629 -0.5957 0.7292 0.36 -0.73 0.05
C 2.5310 1.6657 -1.6150 1.55 1.23 -0.45
........
-Germans can no longer pose as a well-educated nation in the humanistic “bildung”-tradition.
What will change in your country’s education policy?
-We do not have a national education policy, which is part of the problem. Every bundesland has its own education policies.
Klaudius Silhar, President of Association of Adult Education Institutions in the Slovak Republic
How did education experts and the media first react to the results?
-Only a few publications reported on the results. State authorities commented on the results in national media, and the Association of Adult Education Institutions compared Slovak results to other European countries.
What was your own reaction?
-On the EU-level I was surprised at the wide variation of results between EU countries. At the national level I was astounded to learn that a fifth of Slovaks have no experience in using a computer. I think this was the single most important finding for our country.
What will change in your country’s education policy?
-We now need a financing instrument to get adults into adult education. The basic infrastructure of adult education also needs funds. Ideally, PIAAC results will launch a national debate on the benefits of adult education in our country.
Pros and cons
The country experts listed good and bad news about their countries adult education, highlighted by the PIAAC results.
+General skills level is high in Norway
+We manage to include low skills-level learners in adult education
+Non-formal learning seems to have a big effect on skills level
-The skills level of immigrants is dramatically worse than that of the majority population
-Young people’s (16-24-year-olds) skills are low compared to the whole population
-Part of the population performed poorly in all skills categories.
England and Northern Ireland
+The skills levels of (some) older people is good and they are able to retain them
+PIAAC has established the link between skills development and health, well-being, societal involvement and volunteering
+PIAAC asserts the value of non-formal learning
-The skills levels in numeracy in England and Northern Ireland are low compared to other participant countries.
-The skills levels of young people are worsening
**Between two parts of the text: calculated molecules**
<<<
{
  "formula": "C7H14N2",
  "method": "wB97M-V/def2-TZVPD",
  "orbital_gap_ev": [7.9914, 7.4730],
  "e_above_lowest_kj_mol": 666.0,
  "charge": 0,
  "species": ["C", "C", "C", "C", "N", "C", "C", "C", "N", "H", "H", "H", "H", "H", "H", "H", "H", "H", "H", "H", "H", "H", "H"],
  "positions_angstrom": [[-1.6790, 0.7982, -0.3762], [0.3180, -1.4335, 0.6333], [-2.4099, -0.3189, -1.0469], [-2.0477, 1.1148, 1.0372], [0.5990, -0.4810, -0.4316], [0.5329, 0.7782, -0.3977], [2.7272, -0.5839, -0.6940], [3.6130, -0.5125, 0.2827], [0.8954, 1.9481, -0.2591], [-1.5662, 1.6747, -1.0083], [1.6790, 2.3224, -0.7877], [2.9537, -0.9827, -1.6810], [0.7206, -2.3938, 0.3142], [-0.7457, -1.5745, 0.8190], [0.7797, -1.1538, 1.5833], [-2.4726, -1.2074, -0.4124], [-3.0816, 1.4917, 1.0956], [-1.9478, -0.6027, -1.9938], [-3.4494, -0.0221, -1.2598], [-1.4189, 1.9050, 1.4522], [-1.9731, 0.2376, 1.6867], [3.3313, -0.1367, 1.2666], [4.6421, -0.8673, 0.1775]],
  "nbo_charge": [-0.142, -0.401, -0.664, -0.666, -0.458, 0.670, -0.134, -0.504, -0.770, 0.197, 0.398, 0.173, 0.218, 0.208, 0.194, 0.198, 0.210, 0.223, 0.215, 0.229, 0.198, 0.199, 0.207]
}

----------

This record from the OMol25 dataset describes 11 unconnected molecules or ions with the total composition C38H72O18S3 at a distorted geometry. The level of theory is ωB97M-V with the def2-TZVPD basis set.

For the strongest force on any atom, the calculation gives 5.2 eV Å⁻¹. The calculation puts the HOMO energy at -9.39 eV. As for the frontier orbital gap: 9.3 eV. The value obtained for the energy above the lowest of the compared OMol25 structures with the same formula, charge and spin is 141.3 kJ/mol. The LUMO energy is -0.0022 Eh. Its SMILES is C[C@H]1COC(=O)O1.C[C@H]1COC(=O)O1.O=S1(=O)CCCC1.O=S1(=O)CCCC1.O=S1(=O)CCCC1.CC(C)=O.CC(C)=O.CC(C)=O.CC(C)=O.CC(C)=O.CC(C)=O.

```
131
Properties=species:S:1:pos:R:3:forces:R:3:lowdin_charge:R:1
C 13.60840 10.19152 5.35666 0.85 0.19 0.88 -0.0156
C 15.00459 9.78970 5.92888 -0.32 -0.04 -1.22 -0.2678
C 15.04717 8.29715 6.21067 1.12 -0.05 0.87 -0.1017
O 16.28416 7.85260 5.66257 0.39 -0.59 -0.50 0.0533
C 16.83479 8.77833 4.85703 -1.51 0.52 0.42 -0.5668
O 17.77104 8.60718 4.15727 0.42 0.18 -0.12 0.1688
O 16.09841 9.92735 4.96143 -0.22 0.10 -0.28 0.0619
H 13.58793 11.22923 5.02376 0.13 -0.23 -0.45 0.0828
H 12.86724 10.17032 6.15562 0.16 -0.12 0.39 0.0827
H 13.23364 9.45927 4.64150 0.37 0.30 -0.40 0.0827
H 15.32587 10.39006 6.78002 -0.37 0.03 0.03 0.1501
H 14.23095 7.74526 5.74451 -0.01 -0.04 0.30 0.1329
H 15.22313 8.11335 7.27055 -1.01 -0.22 0.08 0.1368
C 24.83320 17.15717 13.70383 -2.73 1.49 -0.31 -0.0361
C 25.72248 16.00965 13.49628 0.16 0.44 2.93 -0.4159
C 25.17521 14.71014 12.94297 -1.87 2.00 0.81 -0.0740
O 26.10828 14.36161 11.96781 0.03 -2.71 -0.26 0.1118
C 26.89084 15.37043 11.69840 3.68 1.92 -3.13 -0.5157
O 27.73224 15.47178 10.77650 -3.14 -0.75 3.33 0.1055
O 26.64158 16.35234 12.57859 2.86 1.28 -2.74 0.1031
H 25.23432 18.16530 13.80815 1.10 -0.39 -0.04 0.0961
>>>
-A considerable number and percentage of adults in England and Northern Ireland have below level 1 skill in numeracy.
+Despite bad overall score, good results were recorded in North Italy
+The general skills level of women has increased, especially concerning literacy
-Participation level in adult education is low, 24 %, compared to the EU average 52 %
-Particularly older generations are absent form adult education
-Little investment is made in adult education
+The results underline the importance of the benefits of adult education
+PIAAC provides shock treatment for decision makers
-A national debate on improving the skills levels of immigrants is long overdue in light of the results
-Too little has been done to develop the adult education system
-The federal model of government prevents sweeping education reforms.
+In light of the results our adult education system is working: especially the law harmonizing the learning outcomes of lifelong learning and formal education
+Our NGOs are active in adult education
-Financing for non-formal adult education in neither efficient nor transparent
-An official financing instrument for adult education does not exist.
This article was produced in cooperation with InfoNet adult education network
Read more
Previously in LLinE
First results: PIAAC calls for equality in lifelong learning
EAEA statement on PIAAC results